[Job]
Repeat the calculation results underneath from the line with "_symmetry_Int_Tables_number 139" to the end unchanged.
[Excerpt]
<<<
This record from the Alexandria database describes MgTl2Cd at its PBEsol-relaxed geometry. The functional is SCAN.

Geometry as CIF:
```
data_MgTl2Cd
_chemical_formula_sum 'Mg2 Tl4 Cd2'
_symmetry_space_group_name_H-M 'I 4/m m m'
_symmetry_Int_Tables_number 139
_symmetry_space_group_name_Hall '-I 4 2'
_cell_length_a 4.7570
_cell_length_b 4.7570
_cell_length_c 8.6637
_cell_angle_alpha 90.00
_cell_angle_beta 90.00
_cell_angle_gamma 90.00
loop_
_atom_site_label
_atom_site_type_symbol
_atom_site_fract_x
_atom_site_fract_y
_atom_site_fract_z
Mg1 Mg 0.0000 0.0000 0.0000
Tl1 Tl 0.0000 0.5000 0.2500
Cd1 Cd 0.0000 0.0000 0.5000
```

Computed properties:
Energy of formation: 0.01 eV per atom
V: 98 Å³/f.u.
>>>
[Written answer]
_symmetry_Int_Tables_number 139
_symmetry_space_group_name_Hall '-I 4 2'
_cell_length_a 4.7570
_cell_length_b 4.7570
_cell_length_c 8.6637
_cell_angle_alpha 90.00
_cell_angle_beta 90.00
_cell_angle_gamma 90.00
loop_
_atom_site_label
_atom_site_type_symbol
_atom_site_fract_x
_atom_site_fract_y
_atom_site_fract_z
Mg1 Mg 0.0000 0.0000 0.0000
Tl1 Tl 0.0000 0.5000 0.2500
Cd1 Cd 0.0000 0.0000 0.5000
```

Computed properties:
Energy of formation: 0.01 eV per atom
V: 98 Å³/f.u.